-- Brief --
The reader should duplicate the data underneath without altering anything.

-- Input --
'''
Structure and theoretical powder diffractogram of PmPd6Au12 (a crystal structure in Alexandria, relaxed with PBE; copper Kα).
Intensities are scaled so that the largest is 100.

Unit cell a=7.585 b=7.585 c=7.585 alpha=105.98 beta=105.98 gamma=105.98
Sites, in units of the cell vectors:
1 Pm 0.000 0.000 0.000
2 Pd 0.301 0.301 0.685
3 Pd 0.301 0.685 0.301
4 Pd 0.315 0.699 0.699
5 Pd 0.685 0.301 0.301
6 Pd 0.699 0.315 0.699
7 Pd 0.699 0.699 0.315
8 Au 0.101 0.356 0.356
9 Au 0.114 0.500 0.886
10 Au 0.114 0.886 0.500
11 Au 0.356 0.101 0.356
12 Au 0.356 0.356 0.101
13 Au 0.500 0.114 0.886
14 Au 0.500 0.886 0.114
15 Au 0.644 0.644 0.899
16 Au 0.644 0.899 0.644
17 Au 0.886 0.114 0.500
18 Au 0.886 0.500 0.114
19 Au 0.899 0.644 0.644

Peak list (12 most intense, 2θ = 10–90°, in order of rising 2θ)
Position (°2θ)	intensity
21.89	31
32.41	100
33.94	38
38.79	59
40.11	71
42.82	38
44.64	26
44.90	22
48.04	44
69.45	16
72.94	17
76.97	27

----------

1.
Diffraction record for HfTi3Rh4. The PXRD pattern is computed, not measured: it uses the PBE geometry in Alexandria and a wavelength of 1.5418 Å.
No peak broadening, texture or thermal motion is included.

The 10 most intense peaks (10° ≤ 2θ ≤ 90°), by angle:
- 2θ = 31.4°, intensity 8.5, (2 1 1)
- 2θ = 38.8°, intensity 24.5, (0 0 2)
- 2θ = 39.8°, intensity 29.5, (4 0 0)
- 2θ = 41.2°, intensity 100.0, (2 2 1)
- 2θ = 56.8°, intensity 15.7, (4 0 2)
- 2θ = 62.4°, intensity 7.5, (0 4 0)
- 2θ = 71.8°, intensity 11.0, (2 2 3)
- 2θ = 73.2°, intensity 17.4, (6 2 1)
- 2θ = 76.6°, intensity 8.1, (4 4 0)
- 2θ = 89.4°, intensity 8.7, (4 4 2)

```
data_HfTi3Rh4
_cell_length_a 9.0616
_cell_length_b 5.9514
_cell_length_c 4.6431
_cell_angle_alpha 90.00
_cell_angle_beta 90.00
_cell_angle_gamma 90.00
_space_group_name_H-M_alt 'P m m a'
_space_group_IT_number 51
_space_group_name_Hall '-P 2a 2a'
loop_
_atom_site_label
_atom_site_type_symbol
_atom_site_fract_x
_atom_site_fract_y
_atom_site_fract_z
Hf1 Hf 0.0000 0.0000 0.0000
Ti1 Ti 0.0000 0.5000 0.0000
Ti2 Ti 0.2500 0.0000 0.4597
Ti3 Ti 0.2500 0.5000 0.4442
Rh1 Rh 0.0000 0.2553 0.5000
Rh2 Rh 0.2500 0.2567 0.9321
```

***

2.
Diffraction record for HfZrTiRh. The PXRD pattern is computed, not measured: it uses the PBE geometry in Alexandria and a wavelength of 1.5418 Å.
No peak broadening, texture or thermal motion is included.

The 10 most intense peaks (10° ≤ 2θ ≤ 90°), by angle:
- 2θ = 18.2°, intensity 18.0, (0 0 2)
- 2θ = 36.9°, intensity 26.7, (0 0 4)
- 2θ = 38.3°, intensity 100.0, (1 1 2)
- 2θ = 39.1°, intensity 23.9, (0 2 0)
- 2θ = 54.9°, intensity 16.7, (0 2 4)
- 2θ = 55.7°, intensity 8.4, (2 0 0)
- 2θ = 67.5°, intensity 17.5, (1 1 6)
- 2θ = 68.8°, intensity 8.4, (2 0 4)
- 2θ = 70.3°, intensity 16.2, (1 3 2)
- 2θ = 82.1°, intensity 10.3, (2 2 4)

```
data_HfZrTiRh
_cell_length_a 3.2978
_cell_length_b 4.6068
_cell_length_c 9.7339
_cell_angle_alpha 90.00
_cell_angle_beta 90.00
_cell_angle_gamma 90.00
_space_group_name_H-M_alt 'I m m 2'
_space_group_IT_number 44
_space_group_name_Hall 'I 2 -2'
loop_
_atom_site_label
_atom_site_type_symbol
_atom_site_fract_x
_atom_site_fract_y
_atom_site_fract_z
Hf1 Hf 0.0000 0.0000 0.0000
Zr1 Zr 0.0000 0.5000 0.7648
Ti1 Ti 0.0000 0.5000 0.2331
Rh1 Rh 0.0000 0.0000 0.5068
```

***

3.
Diffraction record for Tm4HfRh5. The PXRD pattern is computed, not measured: it uses the PBE geometry in Alexandria and a wavelength of 1.5418 Å.
No peak broadening, texture or thermal motion is included.

The 10 most intense peaks (10° ≤ 2θ ≤ 90°), by angle:
- 2θ = 26.0°, intensity 3.7, (0 0 5)
- 2θ = 26.8°, intensity 6.4, (1 0 0)
- 2θ = 37.7°, intensity 100.0, (1 0 5)
- 2θ = 38.3°, intensity 48.8, (1 1 0)
- 2θ = 53.4°, intensity 8.6, (0 0 10)
- 2θ = 55.3°, intensity 16.8, (2 0 0)
- 2θ = 67.6°, intensity 16.9, (1 1 10)
- 2θ = 68.8°, intensity 33.9, (2 1 5)
- 2θ = 80.5°, intensity 10.4, (2 0 10)
- 2θ = 82.0°, intensity 5.4, (2 2 0)

```
data_Tm4HfRh5
_cell_length_a 3.3235
_cell_length_b 3.3235
_cell_length_c 17.1447
_cell_angle_alpha 90.00
'''

-- Response --
Structure and theoretical powder diffractogram of PmPd6Au12 (a crystal structure in Alexandria, relaxed with PBE; copper Kα).
Intensities are scaled so that the largest is 100.

Unit cell a=7.585 b=7.585 c=7.585 alpha=105.98 beta=105.98 gamma=105.98
Sites, in units of the cell vectors:
1 Pm 0.000 0.000 0.000
2 Pd 0.301 0.301 0.685
3 Pd 0.301 0.685 0.301
4 Pd 0.315 0.699 0.699
5 Pd 0.685 0.301 0.301
6 Pd 0.699 0.315 0.699
7 Pd 0.699 0.699 0.315
8 Au 0.101 0.356 0.356
9 Au 0.114 0.500 0.886
10 Au 0.114 0.886 0.500
11 Au 0.356 0.101 0.356
12 Au 0.356 0.356 0.101
13 Au 0.500 0.114 0.886
14 Au 0.500 0.886 0.114
15 Au 0.644 0.644 0.899
16 Au 0.644 0.899 0.644
17 Au 0.886 0.114 0.500
18 Au 0.886 0.500 0.114
19 Au 0.899 0.644 0.644

Peak list (12 most intense, 2θ = 10–90°, in order of rising 2θ)
Position (°2θ)	intensity
21.89	31
32.41	100
33.94	38
38.79	59
40.11	71
42.82	38
44.64	26
44.90	22
48.04	44
69.45	16
72.94	17
76.97	27

----------

1.
Diffraction record for HfTi3Rh4. The PXRD pattern is computed, not measured: it uses the PBE geometry in Alexandria and a wavelength of 1.5418 Å.
No peak broadening, texture or thermal motion is included.

The 10 most intense peaks (10° ≤ 2θ ≤ 90°), by angle:
- 2θ = 31.4°, intensity 8.5, (2 1 1)
- 2θ = 38.8°, intensity 24.5, (0 0 2)
- 2θ = 39.8°, intensity 29.5, (4 0 0)
- 2θ = 41.2°, intensity 100.0, (2 2 1)
- 2θ = 56.8°, intensity 15.7, (4 0 2)
- 2θ = 62.4°, intensity 7.5, (0 4 0)
- 2θ = 71.8°, intensity 11.0, (2 2 3)
- 2θ = 73.2°, intensity 17.4, (6 2 1)
- 2θ = 76.6°, intensity 8.1, (4 4 0)
- 2θ = 89.4°, intensity 8.7, (4 4 2)

```
data_HfTi3Rh4
_cell_length_a 9.0616
_cell_length_b 5.9514
_cell_length_c 4.6431
_cell_angle_alpha 90.00
_cell_angle_beta 90.00
_cell_angle_gamma 90.00
_space_group_name_H-M_alt 'P m m a'
_space_group_IT_number 51
_space_group_name_Hall '-P 2a 2a'
loop_
_atom_site_label
_atom_site_type_symbol
_atom_site_fract_x
_atom_site_fract_y
_atom_site_fract_z
Hf1 Hf 0.0000 0.0000 0.0000
Ti1 Ti 0.0000 0.5000 0.0000
Ti2 Ti 0.2500 0.0000 0.4597
Ti3 Ti 0.2500 0.5000 0.4442
Rh1 Rh 0.0000 0.2553 0.5000
Rh2 Rh 0.2500 0.2567 0.9321
```

***

2.
Diffraction record for HfZrTiRh. The PXRD pattern is computed, not measured: it uses the PBE geometry in Alexandria and a wavelength of 1.5418 Å.
No peak broadening, texture or thermal motion is included.

The 10 most intense peaks (10° ≤ 2θ ≤ 90°), by angle:
- 2θ = 18.2°, intensity 18.0, (0 0 2)
- 2θ = 36.9°, intensity 26.7, (0 0 4)
- 2θ = 38.3°, intensity 100.0, (1 1 2)
- 2θ = 39.1°, intensity 23.9, (0 2 0)
- 2θ = 54.9°, intensity 16.7, (0 2 4)
- 2θ = 55.7°, intensity 8.4, (2 0 0)
- 2θ = 67.5°, intensity 17.5, (1 1 6)
- 2θ = 68.8°, intensity 8.4, (2 0 4)
- 2θ = 70.3°, intensity 16.2, (1 3 2)
- 2θ = 82.1°, intensity 10.3, (2 2 4)

```
data_HfZrTiRh
_cell_length_a 3.2978
_cell_length_b 4.6068
_cell_length_c 9.7339
_cell_angle_alpha 90.00
_cell_angle_beta 90.00
_cell_angle_gamma 90.00
_space_group_name_H-M_alt 'I m m 2'
_space_group_IT_number 44
_space_group_name_Hall 'I 2 -2'
loop_
_atom_site_label
_atom_site_type_symbol
_atom_site_fract_x
_atom_site_fract_y
_atom_site_fract_z
Hf1 Hf 0.0000 0.0000 0.0000
Zr1 Zr 0.0000 0.5000 0.7648
Ti1 Ti 0.0000 0.5000 0.2331
Rh1 Rh 0.0000 0.0000 0.5068
```

***

3.
Diffraction record for Tm4HfRh5. The PXRD pattern is computed, not measured: it uses the PBE geometry in Alexandria and a wavelength of 1.5418 Å.
No peak broadening, texture or thermal motion is included.

The 10 most intense peaks (10° ≤ 2θ ≤ 90°), by angle:
- 2θ = 26.0°, intensity 3.7, (0 0 5)
- 2θ = 26.8°, intensity 6.4, (1 0 0)
- 2θ = 37.7°, intensity 100.0, (1 0 5)
- 2θ = 38.3°, intensity 48.8, (1 1 0)
- 2θ = 53.4°, intensity 8.6, (0 0 10)
- 2θ = 55.3°, intensity 16.8, (2 0 0)
- 2θ = 67.6°, intensity 16.9, (1 1 10)
- 2θ = 68.8°, intensity 33.9, (2 1 5)
- 2θ = 80.5°, intensity 10.4, (2 0 10)
- 2θ = 82.0°, intensity 5.4, (2 2 0)

```
data_Tm4HfRh5
_cell_length_a 3.3235
_cell_length_b 3.3235
_cell_length_c 17.1447
_cell_angle_alpha 90.00